Disco Night
Funeral Service for Worshipful Brother Elmer L. VanTassel
It is my sad duty to inform you of the passing of Worshipful Brother Elmer L. VanTassel. Worshipful Brother VaTassel was 97 years old. He was raised to the sublime degree of Master Mason on November 21, 1947 and served as Worshipful Master of Fortitude Lodge #200 in 1978.
You may recall that a group of members of Phoenix Lodge #168 visited WB VanTassel at his home back in April to present him with his pin and certificate commemorating 75 years of service to Freemasonry.
Wednesday 6/21/2023 @ 12 Noon
Wanamaker & Carlough Funeral Home
177 Route 59, Suffern, NY
70's Disco Night - 10/28/2023
70’s Disco Night
80’s Murder Mystery Dinner 9/16/2023
2nd Annual Table Lodge
75 Years of Freemasonry
Fellow Craft agree at Saint John’s Lodge #1
Tom Racz & Gregory Stripeikis from Phoenix Lodge #168
Freemason Happy Hour
Andrew J. Smith, PM
Installation Night
Phoenix #168
Thomas V. DeBrock Received his 25 Year Pin.
(WB John Matteson, WB Tomas McGurr, MW Walter Kaulfers, RW J. Eugene Margroff, WB Michael Vandevander, RW Gary Stoess)
First Meeting of Phoenix Lodge #168
On Wednesday, November 16, 2022, the first Regular Communication of Phoenix Lodge #168 was held with WB Thomas J. McGurr in the East. There were 23 brothers present, as well as multiple guests.
1st Closing Gavel of Phoenix Lodge #168
(RW Roy Simpadian, MW Walter Kaulfers, WB Thomas McGurr, WB Michael Vandevander)
Phoenix #168 Gold Token Night
Three brothers received their Gold Tokens Brother Jerry Bello and Brother Tom Saraffian for 50 years and Worshipful Brother Bob Wright for 55 years. These awards were presented by RW Brother Roy Simpadian, DDGM, with the assistance of MW Walter Kaulfers, PGM. Each recipient reminisced about their time in Freemasonry.
WB Bob Wright (55 Years)
Jerry Bello (50 Years)
Tom Saraffian (50 Years)
Presentation of Phoenix #168 Warrant
9 November 2022, Grand Lodge, Atlantic City, NJ
# Between two parts of the article: records of crystals
<<<
# 1
This record from Alexandria via LeMat-Bulk describes a geometry-optimized KCeAu2 structure. The functional is GGA-PBE.

Output
- M_tot (μB per formula unit) = 1.1
- E above lowest polymorph (meV/atom) = 115
- total DFT energy (no corrections) (eV per atom) = -3.750
- DFT formation energy (meV/atom) = -354

Unit cell a=8.654 b=8.654 c=8.654 alpha=28.51 beta=28.51 gamma=28.51
Fractional positions:
K 0.000 0.000 0.000
Ce 0.500 0.500 0.500
Au 0.236 0.236 0.236
Au 0.764 0.764 0.764

***

# 2
This record from Alexandria via LeMat-Bulk describes a geometry-optimized KTb2CuTe4 structure. The functional is GGA-PBE.

Output
- M_tot (μB per formula unit) = 0.0
- total DFT energy (no corrections) (eV per atom) = -4.528
- formation energy from raw total energies (eV per atom) = -1.1505

Unit cell a=7.854 b=7.854 c=15.463 alpha=90.00 beta=90.00 gamma=147.54
Fractional positions:
K 0.114 0.886 0.750
K 0.886 0.114 0.250
Tb 0.365 0.635 0.566
Tb 0.365 0.635 0.934
Tb 0.635 0.365 0.066
Tb 0.635 0.365 0.434
Cu 0.159 0.841 0.250
Cu 0.841 0.159 0.750
Te 0.000 0.000 0.000
Te 0.000 0.000 0.500
Te 0.268 0.732 0.114
Te 0.268 0.732 0.386
Te 0.438 0.562 0.750
Te 0.562 0.438 0.250
Te 0.732 0.268 0.614
Te 0.732 0.268 0.886

***

# 3
This record from Alexandria via LeMat-Bulk describes a geometry-optimized ThZr3Sc2N6 structure. The functional is GGA-PBE.

Output
- M_tot (μB per formula unit) = 0.0
- total DFT energy (no corrections) (eV per atom) = -9.667
- formation energy from raw total energies (eV per atom) = -1.6932

Unit cell a=5.747 b=5.747 c=5.777 alpha=99.48 beta=99.48 gamma=120.14
Fractional positions:
Th 0.000 0.000 0.000
Zr 0.171 0.829 0.500
Zr 0.500 0.500 0.500
Zr 0.829 0.171 0.500
Sc 0.333 0.667 0.000
Sc 0.667 0.333 0.000
N 0.084 0.433 0.257
N 0.263 0.263 0.746
N 0.433 0.084 0.257
N 0.567 0.916 0.743
N 0.737 0.737 0.254
N 0.916 0.567 0.743

***

# 4
This record from Alexandria via LeMat-Bulk describes a geometry-optimized Li2CaLa2Pb2 structure. The functional is GGA-PBE.

Output
- M_tot (μB per formula unit) = 0.0
- total DFT energy (no corrections) (eV per atom) = -3.692
- DFT formation energy (meV/atom) = -392

Unit cell a=9.907 b=9.907 c=9.907 alpha=28.68 beta=28.68 gamma=28.68
Fractional positions:
Li 0.098 0.098 0.098
Li 0.902 0.902 0.902
Ca 0.500 0.500 0.500
La 0.367 0.367 0.367
La 0.633 0.633 0.633
Pb 0.237 0.237 0.237
Pb 0.763 0.763 0.763

***

Question: Look up the M_tot of the third one.
Answer: 0.0 μB per formula unit
>>>
Butler Masons hold pig roast to benefit Tri-Boro First Aid Squad
It was their first pig, but it won't be their last.
The Butler Masons' pig roast, held earlier this month as a benefit for the Tri-Boro First Aid Squad, raised more than $300 for the ambulance corps, said Mason Jerry Bott.
"We think it was quite a success," said Bott.
The Masons roasted an entire pig under the direction of "Master Roaster" Saul Santiago, said Bott. Ten people assisted him on the roasting team.
While the Masons have worked with Tri-Boro at different times in the past, this was the first of what Bott said the groups hope will become a regular event. More than 70 people attended the roast, Bott said. It was open to all members of the community, including adults and children.
"We had many senior citizens attending as well," Bott said.
The event was held at the Masons' headquarters on Main Street, at the corner of Arch Street.
The Butler Masons, or Silentia Lodge No. 168, Free and Accepted Masons, as they are formally known, have been a part of Butler for more than a century. This year marks the 120th year they have been at their Main Street location.
That's just a fraction of the time the Masons have been in existence. Documents date the Masons as far back as the 13th century, Bott said.
Notable Masons have included 13 signers of the Declaration of Independence and 14 United States presidents starting George Washington. Other members include astronaut Edwin "Buzz" Adrin, the second man to walk on the moon, as well as Benjamin Franklin, musician and composer Duke Ellington, and Supreme Court Justice Thurgood Marshall.
The Masons of today are descendants of actual bricklayer masons from 700 years ago. Freemasonry was the organization that trained and looked after the interests of masons who worked in the trade. It evolved into a fraternal organization over the centuries, with the first lodges in the United States appearing in Pennsylvania as far back as 1715.
The Tri-Boro First Aid Squad serves Butler, Kinnelon, and Bloomingdale. The all-volunteer organization answered more than 1,600 calls in 2013.